William Dunlop pursued his passion, funeral of motorcycle racer told

Third member of family killed in motorcycle racing laid to rest in Ballymoney, Co Antrim

Scores of motorcyclists from across Ireland were among the mourners at the funeral of William Dunlop at Garryduff Presbyterian Church outside Ballymoney in Co Antrim. Photograph: Niall Carson/PA Wire

The Rev John Kirkpatrick loves motorcycles. For 25 years he has been chaplain to the Motorcycle Union of Ireland, often riding motorcycles around racing circuits at speeds of more than 100mph.

Yesterday, Mr Kirkpatrick led the funeral service for yet another fallen biker, William Dunlop, in Garryduff Presbyterian Church just outside Ballymoney in Co Antrim.

There, he remembered that he had officiated at the funeral of Dunlop's father, Robert and his uncle Joey – two genuine road-racing legends in Northern Ireland, where bike racing is loved.

William Dunlop, who was killed near Skerries, Co Dublin, on Saturday during a practice run for the Skerries 100 motorcycle race. Photograph: Philip Magowan/PressEye

Robert Dunlop was killed in the North West 200 in 2008, and Joey died in a crash in Estonia in 2000: now a third Dunlop was to be buried in the small cemetery adjoining the church. How could a family take such grief?


Full life

Mr Kirkpatrick recalled Robert’s funeral 10 years ago and how William had earlier chosen to follow his father’s path: “William watched and learned from Robert. Although his life has been shorter than many and certainly shorter than we hoped, the one he chose to live was not dull but full.”

Such words might not be understood by those outside the motorcycling world, but Mr Kirkpatrick knew they would be by the scores of bikers from all over Ireland who had travelled to Ballymoney.

Inside the country church were William’s partner Janine, who is mother of their young daughter Ella, and who is expecting a second child in September; his mother, Louise; and his grandmother, May, mother of Joey and Robert.

== Misplaced records of crystals ==
=====
This record from the Alexandria database describes an optimized crystal structure of Ga2Ni2Ag. The functional is GGA-PBE.

* energy of formation from the pure elements: -0.24 eV per atom
* N(E_F): 2.84 states/eV/cell
* distance to the lowest polymorph of the same formula: 0 meV per atom

CIF file:
```
data_Ga2Ni2Ag
_chemical_formula_sum 'Ga4 Ni4 Ag2'
_space_group_name_H-M_alt 'P 4/m b m'
_space_group_IT_number 127
_space_group_name_Hall '-P 4 2ab'
_cell_length_a 7.0677
_cell_length_b 7.0677
_cell_length_c 2.7645
_cell_angle_alpha 90.00
_cell_angle_beta 90.00
_cell_angle_gamma 90.00
loop_
_atom_site_label
_atom_site_fract_x
_atom_site_fract_y
_atom_site_fract_z
_atom_site_occupancy
Ga1 0.1635 0.3365 0.0000 1
Ni1 0.1320 0.6320 0.5000 1
Ag1 0.0000 0.0000 0.5000 1
```

***

This record from the Alexandria database describes an optimized crystal structure of Ga2Ni2Ag. The functional is GGA-PBE.

* energy of formation from the pure elements: -0.24 eV per atom
* N(E_F): 5.22 states/eV/cell
* distance to the lowest polymorph of the same formula: 0 meV per atom

CIF file:
```
data_Ga2Ni2Ag
_chemical_formula_sum 'Ga4 Ni4 Ag2'
_space_group_name_H-M_alt 'P 4/m b m'
_space_group_IT_number 127
_space_group_name_Hall '-P 4 2ab'
_cell_length_a 7.0656
_cell_length_b 7.0656
_cell_length_c 2.7719
_cell_angle_alpha 90.00
_cell_angle_beta 90.00
_cell_angle_gamma 90.00
loop_
_atom_site_label
_atom_site_fract_x
_atom_site_fract_y
_atom_site_fract_z
_atom_site_occupancy
Ga1 0.1476 0.3524 0.0000 1
Ni1 0.1463 0.6463 0.5000 1
Ag1 0.0000 0.0000 0.0000 1
```

***

This record from the Alexandria database describes an optimized crystal structure of Ga2Ni2Ag. The functional is GGA-PBE.

* energy of formation from the pure elements: -0.05 eV per atom
* N(E_F): 3.83 states/eV/cell
* distance to the lowest polymorph of the same formula: 195 meV per atom

CIF file:
```
data_Ga2Ni2Ag
_chemical_formula_sum 'Ga4 Ni4 Ag2'
_space_group_name_H-M_alt 'I 4/m m m'
_space_group_IT_number 139
_space_group_name_Hall '-I 4 2'
_cell_length_a 3.7194
_cell_length_b 3.7194
_cell_length_c 10.9954
_cell_angle_alpha 90.00
_cell_angle_beta 90.00
_cell_angle_gamma 90.00
loop_
_atom_site_label
_atom_site_fract_x
_atom_site_fract_y
_atom_site_fract_z
_atom_site_occupancy
Ga1 0.0000 0.0000 0.1143 1
Ni1 0.0000 0.5000 0.2500 1
Ag1 0.0000 0.0000 0.5000 1
```

***

This record from the Alexandria database describes an optimized crystal structure of GaNi2Ag2. The functional is GGA-PBE.

* energy of formation from the pure elements: 0.01 eV per atom
* N(E_F): 3.58 states/eV/cell

CIF file:
```
data_GaNi2Ag2
_chemical_formula_sum 'Ga2 Ni4 Ag4'
_space_group_name_H-M_alt 'P 4/m b m'
_space_group_IT_number 127
_space_group_name_Hall '-P 4 2ab'
_cell_length_a 5.9928
_cell_length_b 5.9928
_cell_length_c 4.2231
_cell_angle_alpha 90.00
_cell_angle_beta 90.00
_cell_angle_gamma 90.00
loop_
_atom_site_label
_atom_site_fract_x
_atom_site_fract_y
_atom_site_fract_z
_atom_site_occupancy
Ga1 0.0000 0.0000 0.0000 1
=====

Also present were his brothers Daniel and another racing great, Michael, and the wider Dunlop family.

William (32) was killed during a practice run near Skerries, Co Dublin, on Saturday. Michael, who also was competing in the Skerries 100, was riding behind him when the accident happened.

William was injured in the North West 200 race in May and was forced to pull out of the Isle of Man TT races in June. Afterwards, he hinted that he was thinking of giving up, particularly after Janine suffered some pregnancy complications, which she subsequently overcame.

Then, he had said: “My family always come first.”

Mr Kirkpatrick did not dwell, however, on the dangers of racing. Later, he tried to explain to reporters why so many riders risked their lives and the heartache of their families because of their love of racing.

And it is a cruel sport. Since 1911 close to 260 riders have died in the Isle of Man TT races, eight of them Irish riders. More than 120 people have died racing in Ireland.

His heartbroken family feel no sense of recrimination against William, Joey and Robert for persevering with the sport they loved, he told reporters outside.

┌──
Computed, not measured: a geometry-optimized Pr2SmIr structure at the PBE level of DFT.

Summary:
D(E_F) ... 6.09 states/eV/cell
Total energy ... -5.824 eV per atom
E_form ... -0.9 kcal/mol of atoms
Crystal system ... trigonal

Cell lengths 3.888, 3.888, 11.011 Å; angles 79.83, 79.83, 60.00 degrees
Sites, in units of the cell vectors:
Pr 0.887 0.887 0.339
Pr 0.113 0.113 0.661
Ir 0.500 0.500 0.500
Sm 0.000 0.000 0.000


Computed, not measured: Th2NpSe3 after structural relaxation at the PBE level of DFT.

As for the formation energy (no corrections): -1383 meV/atom. The total energy is -7.756 eV/atom. The space-group type is I4/mmm, No. 139. The calculation puts the total moment at 4.2 μB/f.u.

Cell lengths 9.335, 9.335, 9.335 Å; angles 154.15, 154.15, 36.88 degrees
Element x y z (fractional)
Th 0.668 0.668 0.000
Th 0.332 0.332 0.000
Np 0.000 0.000 0.000
Se 0.500 0.500 0.000
Se 0.836 0.836 0.000
Se 0.164 0.164 0.000
└──

“If you live with someone that is racing you have got to find your way to [understand their passion],” he said. “When you love somebody you kind of like to set them free, don’t you?”


Mr Kirkpatrick has loved motorbikes for five decades, starting in his native Co Derry when he was 12. He rides a CR93 replica Honda 160cc bike. As an MCUI chaplain he is sometimes allowed to ride a few practice laps at Irish circuits.

He understands the addiction. “If you are competitive and you like racing and engines and speed you are someone who is wired up that way. Some people like one sport and some people another,” he said.

He added: “Only if you have raced competitively do you really understand. People ask questions: ‘Why would you climb K2 when people who climb the mountain know that out of every three climbers only two will come back?’ People say: ‘Why would you do that?’ And climbers say: ‘Come climb with me.’

“Only people who have done it fully comprehend and it is people who have never done it who want to ban it.”

Comforting the bereaved, Mr Kirkpatrick pondered what William Dunlop might say to those inside and outside the church, if he had had the chance.

To his fans and supporters he might say: “You were kind to me and stayed with me over the years, you waved your programmes and you didn’t walk away.

“To his family: ‘You are the big part of the person I became. You accepted me, listened to me, gave me space to be me, loved me, laughed with me.

“To his mother: ‘You brought me into the world and cared for me, nurtured my life, watched me grow, set me an example, put kindness in me.

“To his brothers: ‘You were also my friends, you were there for me, you have not let me down, you have the stories few people know. Remember our happy times together.’

Next to the page, the page also holds data records =
<<<
# PBE NaAl4Cu, optimized geometry
data_NaAl4Cu
_chemical_formula_sum 'Na2 Al8 Cu2'
_cell_length_a 7.799
_cell_length_b 3.979
_cell_length_c 6.913
_cell_angle_alpha 90.00
_cell_angle_beta 90.00
_cell_angle_gamma 90.00
_space_group_name_H-M_alt 'P m m a'
_space_group_IT_number 51
_space_group_name_Hall '-P 2a 2a'
loop_
_atom_site_label
_atom_site_type_symbol
_atom_site_fract_x
_atom_site_fract_y
_atom_site_fract_z
_atom_site_occupancy
Na1 Na 0.250 0.000 0.102 1
Al1 Al 0.000 0.000 0.500 1
Al2 Al 0.057 0.500 0.802 1
Al3 Al 0.250 0.500 0.438 1
Cu1 Cu 0.250 0.000 0.697 1
# Calculated total energy: -3.435 eV/atom
# Total moment: 0.000 μB/f.u.
# Energy relative to the elements: -0.0374 eV/atom

* * * * *

No. 1
CsRbTl2F8 GGA-PBE optimized geometry; DOS(E_F) = 0.000 states/eV per atom; crystal system = tetragonal; calculated total energy = -3.936 eV per atom
1.0
-1.1041 -6.0267 1.7235
5.8800 -1.6021 -1.8355
-0.3198 5.0274 5.6224
F Tl Cs Rb
8 2 1 1
direct
0.6079 0.2059 0.8162
0.2084 0.6103 0.8162
0.3377 0.8669 0.3092
0.7941 0.7916 0.1838
0.5577 0.6623 0.6908
0.9715 0.4423 0.3092
0.3897 0.3921 0.1838
0.1331 0.0285 0.6908
0.5000 0.5000 0.0000
0.2500 0.7500 0.5000
0.7500 0.2500 0.5000
0.0000 0.0000 0.0000

***

No. 2
CsRbTlF3 GGA-PBE optimized geometry; DOS(E_F) = 0.000 states/eV per atom; crystal system = monoclinic; calculated total energy = -3.943 eV per atom
1.0
-3.8933 -0.8199 -0.6189
-0.2552 -4.5250 7.6002
-2.0831 10.8418 -1.2584
F Rb Cs Tl
6 2 2 2
direct
0.2500 0.4536 0.8177
0.7500 0.9387 0.1141
0.7500 0.3473 0.5140
0.2500 0.0613 0.8859
0.2500 0.6527 0.4860
0.7500 0.5464 0.1823
0.2500 0.7361 0.1205
0.7500 0.2639 0.8795
0.2500 0.2504 0.2147
0.7500 0.7496 0.7853
0.2500 0.2167 0.5498
0.7500 0.7833 0.4502

***

No. 3
Cs2RbTmF6 GGA-PBE optimized geometry; DOS(E_F) = 0.000 states/eV per atom; crystal system = monoclinic; calculated total energy = -5.208 eV per atom
1.0
-4.1364 -1.6861 5.2001
-0.2547 -6.4787 -2.3033
7.7451 -2.2150 5.3739
Cs Tm F Rb
4 2 12 2
direct
0.4934 0.4723 0.2502
0.0066 0.9723 0.2498
0.9934 0.0277 0.7502
0.5066 0.5277 0.7498
0.0000 0.5000 0.0000
0.5000 0.0000 0.5000
0.7530 0.3118 0.9661
0.0702 0.4773 0.7837
0.6833 0.2488 0.5417
0.2470 0.6882 0.0339
0.4298 0.9773 0.7163
0.7470 0.8118 0.5339
0.9298 0.5227 0.2163
0.3167 0.7512 0.4583
0.5702 0.0227 0.2837
0.1833 0.2512 0.0417
0.2530 0.1882 0.4661
0.8167 0.7488 0.9583
0.5000 0.0000 0.0000
0.0000 0.5000 0.5000

***

No. 4
CsRb2TmF6 GGA-PBE optimized geometry; DOS(E_F) = 0.000 states/eV per atom; crystal system = monoclinic; calculated total energy = -5.201 eV per atom
1.0
6.6799 0.0000 0.0470
0.0000 7.0602 0.0000
0.1224 0.0000 9.5824
F Rb Tm Cs
12 4 2 2
direct
0.6116 0.0813 0.2956
0.1116 0.4187 0.7956
0.2710 0.6565 0.0339
0.8523 0.7458 0.9134
0.7710 0.8435 0.5339
0.3884 0.9187 0.7044
0.7290 0.3435 0.9661
0.2290 0.1565 0.4661
0.6477 0.2458 0.5866
0.8884 0.5813 0.2044
0.1477 0.2542 0.0866
0.3523 0.7542 0.4134
0.4891 0.4573 0.2353
0.9891 0.0427 0.7353
0.0109 0.9573 0.2647
0.5109 0.5427 0.7647
>>>
So much for the data records =

“To Janine and Ella: ‘You were my true chequered flag, you, the home of my heart. When I held you, Ella, for the first time, it was the beginning of new love. You made being a father the best of all podiums. When anyone sees you they will see me.’”

Gerry Moriarty

Gerry Moriarty

Gerry Moriarty is the former Northern editor of The Irish Times